Please set down the block below from the line with "Cu2 Cu" to the end exactly.

# Rb2CuC2O7

A relaxed structure of Rb2CuC2O7 (PBE, Materials Project).

CIF file:
```
data_Rb2CuC2O7
_chemical_formula_sum 'Rb8 Cu4 C8 O28'
_cell_length_a 14.976
_cell_length_b 6.663
_cell_length_c 7.974
_cell_angle_alpha 87.87
_cell_angle_beta 90.00
_cell_angle_gamma 90.00
_symmetry_space_group_name_H-M 'P 1'
_symmetry_Int_Tables_number 1
_symmetry_space_group_name_Hall 'P 1'
loop_
_atom_site_label
_atom_site_type_symbol
_atom_site_fract_x
_atom_site_fract_y
_atom_site_fract_z
Rb1 Rb 0.396 0.734 0.917
Rb2 Rb 0.400 0.245 0.592
Rb3 Rb 0.600 0.755 0.408
Rb4 Rb 0.104 0.234 0.917
Rb5 Rb 0.604 0.266 0.083
Rb6 Rb 0.896 0.766 0.083
Rb7 Rb 0.900 0.255 0.408
Rb8 Rb 0.100 0.745 0.592
O1 O 0.585 0.320 0.453
O2 O 0.277 0.711 0.424
O3 O 0.116 0.416 0.343
O4 O 0.579 0.777 0.039
O5 O 0.777 0.789 0.576
O6 O 0.288 0.111 0.057
O7 O 0.756 0.531 0.256
O8 O 0.085 0.180 0.547
O9 O 0.723 0.289 0.576
O10 O 0.212 0.611 0.057
O11 O 0.421 0.223 0.961
O12 O 0.146 0.881 0.169
O13 O 0.079 0.723 0.961
O14 O 0.921 0.277 0.039
O15 O 0.744 0.031 0.256
O16 O 0.788 0.389 0.943
O17 O 0.415 0.680 0.547
O18 O 0.223 0.211 0.424
O19 O 0.712 0.889 0.943
O20 O 0.616 0.084 0.657
O21 O 0.915 0.820 0.453
O22 O 0.256 0.969 0.744
O23 O 0.884 0.584 0.657
O24 O 0.854 0.119 0.831
O25 O 0.244 0.469 0.744
O26 O 0.384 0.916 0.343
O27 O 0.354 0.381 0.169
O28 O 0.646 0.619 0.831
C1 C 0.138 0.263 0.446
C2 C 0.644 0.763 0.940
C3 C 0.362 0.763 0.446
C4 C 0.144 0.737 0.060
C5 C 0.856 0.263 0.940
C6 C 0.862 0.737 0.554
C7 C 0.638 0.237 0.554
C8 C 0.356 0.237 0.060
Cu1 Cu 0.235 0.429 0.248
Cu2 Cu 0.765 0.571 0.752
Cu3 Cu 0.265 0.929 0.248
Cu4 Cu 0.735 0.071 0.752
```

Summary:
**Final energy**: -6.10 eV per atom
**V**: 795.1 Å³ per cell
**Spin magnetization**: 8.0 μB/cell

Cu2 Cu 0.765 0.571 0.752
Cu3 Cu 0.265 0.929 0.248
Cu4 Cu 0.735 0.071 0.752
```

Summary:
**Final energy**: -6.10 eV per atom
**V**: 795.1 Å³ per cell
**Spin magnetization**: 8.0 μB/cell